Harvard Kennedy School faculty disseminate their research in working publications and papers that contribute to public knowledge and fuel policy innovation. This list features recent faculty publications, including journal articles, books, edited volumes, research papers, and public testimony.
Faculty Publications
Putnam, Robert D., and Shaylyn Romney Garrett. "America's Past Has Shown the Power of 'We.' Here's How We Can Revive It." Time.com. 12/03/2020.
Chilazi, Siri, and Iris Bohnet. "How to Best Use Data to Meet Your DE&I Goals." Harvard Business Review. 12/03/2020.
Dynan, Karen. "The Risk of Financial Hardship in Retirement: A Cohort Analysis." Remaking Retirement: Debt in an Aging Economy. Ed. Olivia Mitchell and Annamaria Lusardi. Oxford University Press, 2020.
O'Sullivan, Meghan. "What Does Success Look Like for a Climate Czar?" Bloomberg Opinion, 12/2/2020.
Norris, Pippa. "Electoral Integrity in the 2020 U.S. Elections." Electoral Integrity Project, December 2020.
Brodsky, Lauren. "How to Complete a Group Writing Assignment over Zoom." Fast Company. 12/01/20.
Bonica, Adam, and Maya Sen. The Judicial Tug of War: How Lawyers, Politicians, and Political Incentives Shape the American Judiciary. Cambridge University Press, 2020.
Stock, James H., and Mark W. Watson. "Slack and Cyclically Sensitive Inflation." Journal of Money, Credit and Banking 52.S2 (December 2020): 393-428.
Benson, Nicole M., Catherine Myong, Joseph P. Newhouse, Vicki Fung, and John Hsu. "Psychiatrist Participation in Private Health Insurance Markets: Paucity in the Land of Plenty." Psychiatric Services 71.12 (December 2020): 1232-1238.
Ferrer, Rebecca A., Jennifer M. Taber, Paschal Sheeran, Angela D. Bryan, Linda D. Cameron, Ellen Peters, Jennifer S. Lerner, Emily Grenen, and William M.P. Klein. "The role of incidental affective states in appetitive risk behavior: A meta-analysis." Health Psychology 39.12 (2020): 1109-1124.
Burns, Nicholas, Daniela Schwarzer, Torrey Taussig, Sophia Becker, Josef Braml, Cathryn Clüver Ashbrook, Anthony Gardner, Thomas Gomart, Christian Mölling, Robin Niblett, Victoria Nuland, Kristi Raik, David E. Sanger, Amanda Sloat, Constanze Stelzenmüller, Nathalie Tocci. "Stronger Together: A Strategy to Revitalize Transatlantic Power." Project on Europe and the Transatlantic Relationship, Harvard Kennedy School and German Council on Foreign Relations, December 2020.
Marcus Peacock, Donald Bathurst, Linda Bilmes, Sheila Burke and Margaret Sherry. "Assessment of the National Park Service Museum Collections Storage Management. National Academy of Public Administration, December 2020." National Academy of Public Administration, December 2020.
Harknett, Kristen, Daniel Schneider, and Rebecca Wolfe. "Losing Sleep over Work Scheduling? The Relationship between Work Schedules and Sleep Quality for Service Sector Workers." SSM-Population Health 12 (December 2020): 100681.
Mahomed, Faraaz, Jacqueline Bhabha, Michael Ashley Stein, and Dainius Puras. "Establishing Good Practice for Human Rights-Based Approaches to Mental Health Care and Psychosocial Support in Kenya." Health and Human Rights 22.2 (December 2020): 139.
Digidiki, Vasileia, and Jacqueline Bhabha. "EU Migration Pact Fails to Address Human Rights Concerns in Lesvos, Greece." Health and Human Rights 22.2 (December 2020): 291–296.
Leary, Kimberlyn, and Michael Wheeler. "The Luck Factor in Negotiation." Negotiation Journal 36.1 (Winter 2020): 7-12.
Schneer, Benjamin. "Drawing a Line." Harvard Kennedy School Magazine, Winter 2020.
Frankel, Jeffrey A. "Joe Biden Will Lead the US Back to International Cooperation." The Guardian, December 2020.
Frankel, Jeffrey A. "The Three Most Misused Phrases in US Politics in 2020." The Guardian, December 2020.
Zlatev, Julian J., and Todd Rogers. "Returnable Reciprocity: Returnable Gifts are More Effective than Unreturnable Gifts at Promoting Virtuous Behaviors." Organizational Behavior and Human Decision Processes 161, Supplement (November 2020): 74-84.
Furman, Jason, and Lawrence H. Summers. "A Reconsideration of Fiscal Policy in the Era of Low Interest Rates." November 30, 2020.
Shattuck, John, and Mathias Risse. "Reimagining Rights and Responsibilities in the United States: Civic Education." Carr Center for Human Rights Policy, 11/30/2020.
Hausmann, Ricardo, Douglas Barrios, Daniela Muhaj, Sehar Noor, Carolina Pan, Miguel Angel Santos, Jorge Tapia, and Bruno Zuccolo. "Emerging Cities as Independent Engines of Growth: The Case of Buenos Aires." ÌÇÐÄvlog¹ÙÍø Faculty Research Working Paper Series RWP20-036, November 2020.
Alsan, Marcella, Katherine Eriksson, and Gregory Niemesh. "Understanding the Success of the Know-Nothing Party." ÌÇÐÄvlog¹ÙÍø Faculty Research Working Paper Series RWP20-035, November 2020.
Jasanoff, Sheila. "Ours Is the Earth: Science and Human History in the Anthropocene." Journal of the Philosophy of History 4.3 (November 2020): 337–358.
Ruggie, John Gerard, Caroline Rees, and Rachel Davis. "Making 'Stakeholder Capitalism' Work: Contributions from Business and Human Rights." ÌÇÐÄvlog¹ÙÍø Faculty Research Working Paper Series RWP20-034, November 2020.
Shattuck, John, and Mathias Risse. "Reimagining Rights and Responsibilities in the United States: Money in Politics." Carr Center for Human Rights Policy, November 18, 2020.
Mansbridge, Jane. "Representation Failure." Democratic Failure, NOMOS LXIII. Ed. Melissa Schwartzberg and Daniel Viehoff. New York University Press, 2020, 101-140.
Shattuck, John, and Mathias Risse. "Reimagining Rights and Responsibilities in the United States: Voting Rights." Carr Center for Human Rights Policy, November 6, 2020.
Norris, Pippa. "Measuring Populism Worldwide." Party Politics 26.6 (November 2020): 697–717.
Reschke, Brian, Julia Minson, Hannah Riley Bowles, Mathijs De Vaan, and Sameer B. Srivastava. "Mutual Receptiveness to Opposing Views Bridges Ideological Divides in Network Formation." Social Sciences Research Network, November 2020.
Burns, Nicholas, Marc Grossman, and Marcie Ries. "A U.S. Diplomatic Service for the 21st Century." November 2020.
Cahyadi, Nur, Rema Hanna, Benjamin A. Olken, Rizal Adi Prima, Elan Satriawan, and Ekki Syamsulhakim. "Cumulative Impacts of Conditional Cash Transfer Programs: Experimental Evidence From Indonesia." American Economic Journal: Economic Policy 12.4 (November 2020).
Johnson, Douglas, and Laura J. Duckett. "Advocacy, Strategy and Tactics Used to Confront Corporate Power: The Nestlé Boycott and International Code of Marketing of Breast-milk Substitutes." Journal of Human Lactation (November 2020).
Atkeson, Andrew, Michael C. Droste, Michael Mina, and James H. Stock. "Economic Benefits of COVID-19 Screening Tests." National Bureau of Economic Research, November 2020.
Ilzetzki, Ethan, Carmen M. Reinhart, and Kenneth S. Rogoff. "Will the Secular Decline In Exchange Rate and Inflation Volatility Survive COVID-19?" National Bureau of Economic Research, November 2020.
Stavins, Robert N. "Film Review: Jason Wise (Director), Somm 3." Review of Journal of Wine Economics, 15.4, November 2020: 422-426.
Dugan, Laura, and Erica Chenoweth. "Threat, Emboldenment, or Both? The Effects of Political Power on Violent Hate Crimes." Criminology 58.4 (November 2020): 714–746.
McKenna, Elizabeth. "Taxes and Tithes: The Organizational Foundations of Bolsonarismo." International Sociology 35.6 (November 2020): 610-631.
Avery, Christopher, William Bossert, Adam Clark, Glenn Ellison, and Sara Fisher Ellison. "An Economist’s Guide to Epidemiology Models of Infectious Disease." Journal of Economic Perspectives 34.4 (Fall 2020): 79-104.
Ang, Desmond, and Jonathan Tebes. "Civic Responses to Police Violence." ÌÇÐÄvlog¹ÙÍø Faculty Research Working Paper Series RWP20-033, October 2020.
Nordaas, Ragnhild, Dara Kay Cohen, and Robert Nagel. "Twenty Years After UNSCR 1325: Any Progress Ending Wartime Sexual Violence?" Political Violence at a Glance, October 30, 2020.
Cohen, Dara Kay, Connor Huff, and Robert Schub. "At War and at Home: The Consequences of US Women Combat Casualties." Journal of Conflict Resolution (October 29, 2020).
Kellerman, Barbara, and Todd L. Pittinsky. Leaders Who Lust: Power, Money, Sex, Success, Legitimacy, Legacy. Cambridge University Press, 2020.
Power, Samantha. "Afterword." Imagine: Reflections on Peace. Ed. VII Foundation. SparkPress, 2020.
Misplaced calculated crystals >
'''
P.
This record from Materials Project describes a geometry-optimized MnP2O7 structure. The functional is PBE with a Hubbard U.

Cell: 4.897 13.352 8.482 Å, 71.46 89.97 100.57°
Fractional coordinates of all 40 atoms:
Mn (0.505, 0.011, 0.495)
Mn (0.255, 0.511, 0.745)
Mn (0.005, 0.011, 0.995)
Mn (0.755, 0.511, 0.245)
P (0.816, 0.633, 0.850)
P (0.316, 0.633, 0.350)
P (0.944, 0.888, 0.723)
P (0.444, 0.888, 0.223)
P (0.067, 0.133, 0.267)
P (0.567, 0.133, 0.767)
P (0.194, 0.388, 0.139)
P (0.694, 0.388, 0.639)
O (0.879, 0.761, 0.787)
O (0.379, 0.761, 0.287)
O (0.131, 0.261, 0.203)
O (0.631, 0.261, 0.703)
O (0.660, 0.920, 0.682)
O (0.160, 0.920, 0.182)
O (0.501, 0.601, 0.841)
O (0.001, 0.601, 0.341)
O (0.913, 0.601, 0.028)
O (0.413, 0.601, 0.528)
O (0.072, 0.920, 0.869)
O (0.572, 0.920, 0.369)
O (0.147, 0.920, 0.569)
O (0.647, 0.920, 0.069)
O (0.864, 0.101, 0.420)
O (0.364, 0.101, 0.920)
O (0.987, 0.601, 0.729)
O (0.487, 0.601, 0.229)
O (0.023, 0.420, 0.261)
O (0.523, 0.420, 0.761)
O (0.098, 0.420, 0.961)
O (0.598, 0.420, 0.461)
O (0.938, 0.101, 0.121)
O (0.438, 0.101, 0.621)
O (0.350, 0.101, 0.308)
O (0.850, 0.101, 0.808)
O (0.510, 0.420, 0.148)
O (0.010, 0.420, 0.648)

=====

Q.
This record from Materials Project describes a geometry-optimized MnP2O7 structure. The functional is PBE with a Hubbard U.

symmetry = C2/m, No. 12

Cell: 6.574 6.574 6.808 Å, 111.74 111.74 80.01°
Fractional coordinates of all 20 atoms:
Mn (0.186, 0.814, 0.000)
Mn (0.814, 0.186, 0.000)
P (0.194, 0.194, 0.443)
P (0.272, 0.272, 0.934)
P (0.728, 0.728, 0.066)
P (0.806, 0.806, 0.557)
O (0.044, 0.735, 0.678)
O (0.141, 0.141, 0.997)
O (0.176, 0.176, 0.664)
O (0.211, 0.513, 0.017)
O (0.265, 0.956, 0.322)
O (0.358, 0.358, 0.497)
O (0.487, 0.789, 0.983)
O (0.513, 0.211, 0.017)
O (0.642, 0.642, 0.503)
O (0.735, 0.044, 0.678)
O (0.789, 0.487, 0.983)
O (0.824, 0.824, 0.336)
O (0.859, 0.859, 0.003)
O (0.956, 0.265, 0.322)

=====

Most stable of them? P.

=====

P.
This record from Materials Project describes a geometry-optimized BaCaEuWO6 structure. The functional is PBE with a Hubbard U.

symmetry = P-4n2, No. 118

Cell: 5.926 5.926 8.696 Å, 90.00 90.00 90.00°
Fractional coordinates of all 20 atoms:
Ba (0.000, 0.500, 0.250)
Ba (0.500, 0.000, 0.750)
Ca (0.000, 0.500, 0.750)
Ca (0.500, 0.000, 0.250)
Eu (0.000, 0.000, 0.000)
Eu (0.500, 0.500, 0.500)
W (0.000, 0.000, 0.500)
W (0.500, 0.500, 0.000)
O (0.000, 0.000, 0.271)
O (0.000, 0.000, 0.729)
O (0.150, 0.295, 0.522)
O (0.205, 0.350, 0.978)
O (0.295, 0.850, 0.478)
O (0.350, 0.795, 0.022)
O (0.500, 0.500, 0.229)
O (0.500, 0.500, 0.771)
O (0.650, 0.205, 0.022)
O (0.705, 0.150, 0.478)
O (0.795, 0.650, 0.978)
O (0.850, 0.705, 0.522)

=====

Q.
This record from Materials Project describes a geometry-optimized BaCaEuWO6 structure. The functional is PBE with a Hubbard U.

symmetry = F-43m, No. 216

Cell: 5.970 5.970 5.970 Å, 60.00 60.00 60.00°
Fractional coordinates of all 10 atoms:
Ba (0.000, 0.000, 0.000)
Ca (0.750, 0.750, 0.750)
'''
Power, Samantha. "Two Things Facebook Still Needs to do to Reduce the Spread of Misinformation." Washington Post, October 23, 2020.
Lee, Henry, and Abigail Mayer. "The Future of Carbon Offset Markets." Environment and Natural Resources Program, Belfer Center for Science and International Affairs, October 22, 2020.
de Benedictis-Kessner, Justin, and Maxwell Palmer. "Driving Turnout: The Effect of Car Ownership on Electoral Participation." ÌÇÐÄvlog¹ÙÍø Faculty Research Working Paper Series RWP20-032, October 2020.
Power, Samantha. Review of Those Who Forget: My Family’s Story in Nazi Europe – A Memoir, A History, A Warning, by Géraldine Schwarz. Washington Post, October 16, 2020.
Burns, Nicholas, and Anja Manuel. "On India, the US Must Think Bigger." The Hill, October 16, 2020.